Entries =
- - -
Entry 1:
Density functional theory data (PBE) for a relaxed structure of CaEr2Ge4O12.

Cell and atoms, written as POSCAR:
```
CaEr2Ge4O12
1.0
7.123 -7.124 0.000
7.123 7.124 0.000
0.000 0.000 5.080
Ca Er Ge O
2 4 8 24
Direct
0.000 0.500 0.000
0.500 0.000 0.000
0.000 0.000 0.000
0.250 0.250 0.000
0.500 0.500 0.000
0.750 0.750 0.000
0.020 0.750 0.502
0.250 0.520 0.502
0.250 0.980 0.502
0.480 0.750 0.502
0.520 0.250 0.498
0.750 0.020 0.498
0.750 0.480 0.498
0.980 0.250 0.498
0.059 0.172 0.760
0.069 0.323 0.246
0.124 0.876 0.665
0.130 0.630 0.344
0.172 0.059 0.240
0.177 0.431 0.754
0.323 0.069 0.754
0.328 0.441 0.240
0.370 0.870 0.344
0.376 0.624 0.665
0.431 0.177 0.246
0.441 0.328 0.760
0.559 0.672 0.240
0.569 0.823 0.754
0.624 0.376 0.335
0.630 0.130 0.656
0.672 0.559 0.760
0.677 0.931 0.246
0.823 0.569 0.246
0.828 0.941 0.760
0.870 0.370 0.656
0.876 0.124 0.335
0.931 0.677 0.754
0.941 0.828 0.240
```

crystal system: orthorhombic
total magnetization: 0.00 μB/f.u.
calculated total energy: -7.089 eV/atom
energy relative to the elements: -53.924 eV per formula unit
symmetry: No. 67

***

Entry 2:
Density functional theory data (PBE) for a relaxed structure of CaEr6Ta2O14.

Cell and atoms, written as POSCAR:
```
CaEr6Ta2O14
1.0
3.735 -5.360 0.000
3.735 5.360 0.000
-0.009 0.000 7.775
Ca Er Ta O
1 6 2 14
Direct
0.000 0.000 0.000
0.178 0.303 0.718
0.188 0.812 0.500
0.272 0.728 0.000
0.273 0.316 0.264
0.684 0.727 0.736
0.697 0.822 0.282
0.686 0.314 0.000
0.713 0.287 0.500
0.024 0.939 0.714
0.033 0.373 0.477
0.060 0.358 0.012
0.061 0.976 0.286
0.321 0.661 0.727
0.339 0.679 0.273
0.362 0.148 0.983
0.386 0.235 0.524
0.627 0.967 0.523
0.642 0.940 0.988
0.651 0.257 0.250
0.743 0.349 0.750
0.765 0.614 0.476
0.852 0.638 0.017
```

crystal system: monoclinic
total magnetization: 0.00 μB/f.u.
calculated total energy: -8.432 eV/atom
energy relative to the elements: -81.148 eV per formula unit
symmetry: No. 5

***

Entry 3:
Density functional theory data (PBE) for a relaxed structure of CaEr2Te4.

Cell and atoms, written as POSCAR:
```
CaEr2Te4
1.0
7.479 0.000 0.000
0.000 4.393 0.000
-2.351 0.000 7.399
Ca Er Te
1 2 4
Direct
0.000 0.000 0.000
0.000 0.500 0.500
0.500 0.000 0.500
0.245 0.000 0.736
0.260 0.500 0.257
0.740 0.500 0.743
0.755 0.000 0.264
```

crystal system: monoclinic
calculated total energy: -4.840 eV/atom
energy relative to the elements: -11.851 eV per formula unit
symmetry: No. 10

***

Entry 4:
Density functional theory data (PBE) for a relaxed structure of CaEuGa2.

Cell and atoms, written as POSCAR:
```
CaEuGa2
1.0
0.000 3.719 3.719
3.719 0.000 3.719
3.719 3.719 0.000
Ca Eu Ga
1 1 2
Direct
0.000 0.000 0.000
0.500 0.500 0.500
0.250 0.250 0.250
0.750 0.750 0.750
```

crystal system: cubic
calculated total energy: -5.045 eV/atom
energy relative to the elements: -1.863 eV per formula unit
symmetry: No. 225

***

Entry 5:
Density functional theory data (PBE) for a relaxed structure of CaEuZrGaO6.

Cell and atoms, written as POSCAR:
```
CaEuZrGaO6
1.0
0.000 4.025 4.025
4.025 0.000 4.025
4.025 4.025 0.000
Ca Eu Zr Ga O
1 1 1 1 6
Direct
0.000 0.000 0.000
0.500 0.500 0.500
0.750 0.750 0.750
0.250 0.250 0.250
0.007 0.007 0.493
0.007 0.493 0.007
0.007 0.493 0.493
0.493 0.007 0.007
0.493 0.007 0.493
0.493 0.493 0.007
```

crystal system: cubic
total magnetization: 6.00 μB/f.u.
calculated total energy: -7.970 eV/atom
energy relative to the elements: -30.295 eV per formula unit
symmetry: No. 216

***

Entry 6:
Density functional theory data (PBE) for a relaxed structure of CaEuGe4O12.

Cell and atoms, written as POSCAR:
```
CaEuGe4O12
1.0
5.298 0.000 0.000
0.000 5.298 0.000
0.000 0.000 7.510
Ca Eu Ge O
1 1 4 12
Direct
0.000 0.000 0.000
0.500 0.500 0.500
0.000 0.500 0.246
0.000 0.500 0.754
0.500 0.000 0.246
0.500 0.000 0.754
0.000 0.500 0.000
0.000 0.500 0.500
0.252 0.252 0.254
0.252 0.252 0.746
0.252 0.748 0.254
0.252 0.748 0.746
0.500 0.000 0.000
0.500 0.000 0.500
0.748 0.252 0.254
0.748 0.252 0.746
0.748 0.748 0.254
0.748 0.748 0.746
```
- - -

Exercise =
Next, work out how many lines above have the word "as" in them; a number is enough.

Outcome =
6